The reader should transcribe all of the material further below without additions.
____________
Entry 1:
! GaHCl2 | the Materials Project | meta-GGA r2SCAN | optimized geometry; values from VASP
! crystal system: monoclinic
&SYSTEM
  ibrav = 0, nat = 16, ntyp = 3
/
ATOMIC_SPECIES
Ga 69.72 Ga.upf
H 1.01 H.upf
Cl 35.45 Cl.upf
ATOMIC_POSITIONS angstrom
Ga 1.2118 1.5867 0.7719
Ga 1.0434 -1.5867 5.7849
Ga 4.9710 1.5867 4.2412
Ga 4.8026 -1.5867 9.2542
H 2.2762 0.6761 1.3570
H 2.1079 -0.6761 6.3700
H 3.9065 0.6761 3.6560
H 3.7382 -0.6761 8.6691
Cl 0.7672 1.3355 4.1636
Cl 1.3354 2.1921 8.5992
Cl 0.5989 -1.3355 9.1766
Cl 1.5038 -2.1921 3.5861
Cl 4.5106 2.1921 6.4399
Cl 5.4155 1.3355 0.8495
Cl 4.6790 -2.1921 1.4269
Cl 5.2471 -1.3355 5.8625
CELL_PARAMETERS angstrom
3.1756 -6.0060 0.0000
3.1756 6.0060 0.0000
-0.3368 0.0000 10.0261


Entry 2:
! InGa2Cl7 | the Materials Project | meta-GGA r2SCAN | optimized geometry; values from VASP
! crystal system: orthorhombic
&SYSTEM
  ibrav = 0, nat = 40, ntyp = 3
/
ATOMIC_SPECIES
In 114.82 In.upf
Ga 69.72 Ga.upf
Cl 35.45 Cl.upf
ATOMIC_POSITIONS angstrom
In 1.3068 1.2097 0.0000
In 4.7138 5.7227 5.3365
In 7.3274 3.3034 0.0000
In 10.7345 7.8164 5.3365
Ga 1.4001 5.5862 9.2496
Ga 2.1308 0.5946 6.6776
Ga 3.8898 5.1076 1.3411
Ga 4.6205 1.0731 3.9131
Ga 7.4208 7.9529 9.2496
Ga 8.1514 3.9184 6.6776
Ga 9.9104 8.4315 1.3411
Ga 10.6411 3.4399 3.9131
Cl 0.1463 7.2433 8.6612
Cl 0.2397 1.4625 7.2529
Cl 0.3789 4.1867 10.5519
Cl 1.9317 7.8411 5.4422
Cl 2.5201 4.6613 7.6664
Cl 2.5281 4.8995 2.9957
Cl 2.9543 6.6647 10.5946
Cl 3.0664 2.1517 5.2581
Cl 3.4926 0.3864 8.3322
Cl 3.5005 0.1483 2.3298
Cl 4.0889 3.3281 0.1057
Cl 5.6417 8.6997 5.2154
Cl 5.7809 5.9755 1.9163
Cl 5.8743 2.7302 3.3246
Cl 6.1669 6.2958 8.6612
Cl 6.2603 3.0505 7.2529
Cl 6.3995 0.3263 10.5519
Cl 7.9523 5.6980 5.4422
Cl 8.5408 8.8778 7.6664
Cl 8.5487 8.6396 2.9957
Cl 8.9749 6.8744 10.5946
Cl 9.0870 2.3614 5.2581
Cl 9.5132 4.1266 8.3322
Cl 9.5211 4.3648 2.3298
Cl 10.1095 1.1849 0.1057
Cl 11.6624 4.8393 5.2154
Cl 11.8016 7.5636 1.9163
Cl 11.8949 1.7828 3.3246
CELL_PARAMETERS angstrom
12.0412 0.0000 0.0000
0.0000 9.0261 0.0000
0.0000 0.0000 10.6731


Entry 3:
! KGaCl4 | the Materials Project | meta-GGA r2SCAN | optimized geometry; values from VASP
! crystal system: monoclinic
&SYSTEM
  ibrav = 0, nat = 24, ntyp = 3
/
ATOMIC_SPECIES
K 39.10 K.upf
Ga 69.72 Ga.upf
Cl 35.45 Cl.upf
ATOMIC_POSITIONS angstrom
K -1.2042 2.0606 1.9169
K -4.5666 3.0871 6.5987
K 5.1355 7.2084 2.7649
K 1.7732 8.2349 7.4466
Ga -1.4636 0.4944 6.4074
Ga 1.8988 4.6533 1.7257
Ga -1.3299 5.6422 7.6378
Ga 2.0325 9.8011 2.9561
Cl -3.0168 5.9749 6.2855
Cl 0.3456 9.4684 1.6037
Cl -1.7842 2.2398 5.1293
Cl 1.5782 2.9080 0.4476
Cl -3.3212 0.2643 7.5530
Cl 0.0412 4.8835 2.8713
Cl 2.3512 6.4566 0.5886
Cl -1.0112 8.9866 5.2704
Cl 1.5801 1.3089 4.0932
Cl -1.7823 3.8389 8.7749
Cl 0.5278 5.4120 6.4922
Cl 3.8901 10.0312 1.8105
Cl -1.0092 7.3876 8.9160
Cl 2.3531 8.0557 4.2342
Cl 0.2233 0.8271 7.7598
Cl 3.5857 4.3206 3.0780
CELL_PARAMETERS angstrom
7.2937 0.0000 0.0000
0.0000 10.2955 0.0000
-6.7248 0.0000 9.3635


Entry 4:
! KGa2Cl7 | the Materials Project | meta-GGA r2SCAN | optimized geometry; values from VASP
! crystal system: orthorhombic
&SYSTEM
  ibrav = 0, nat = 40, ntyp = 3
/
ATOMIC_SPECIES
K 39.10 K.upf
Ga 69.72 Ga.upf
Cl 35.45 Cl.upf
ATOMIC_POSITIONS angstrom
K 1.3307 1.2043 0.0000
K 4.6497 5.7582 5.2853
K 7.3111 3.3497 0.0000
K 10.6300 7.9037 5.2853
Ga 1.3602 5.6241 9.0370
Ga 2.0990 0.5833 6.4777
Ga 3.8813 5.1373 1.1924
Ga 4.6202 1.0702 3.7516
Ga 7.3405 8.0378 9.0370
Ga 8.0794 3.9707 6.4777
Ga 9.8617 8.5246 1.1924
Ga 10.6006 3.4838 3.7516
Cl 0.1127 7.2841 8.4374
Cl 0.1749 1.4166 6.9992
Cl 0.3622 4.2345 10.3463
Cl 1.9292 7.8989 5.2643
Cl 2.4766 4.6815 7.4544
Cl 2.5702 4.9643 2.8906
Cl 2.9390 6.7034 10.3587
Cl 3.0413 2.1494 5.0734
Cl 3.4102 0.4103 8.1759
Cl 3.5038 0.1275 2.1691
Cl 4.0512 3.3450 10.5497
Cl 5.6182 8.7884 5.0609
Cl 5.8055 5.9706 1.7138
Cl 5.8677 2.7301 3.1521
Cl 6.0930 6.3778 8.4374
Cl 6.1553 3.1373 6.9992
Cl 6.3426 0.3195 10.3463
Cl 7.9096 5.7630 5.2643
____________
Entry 1:
! GaHCl2 | the Materials Project | meta-GGA r2SCAN | optimized geometry; values from VASP
! crystal system: monoclinic
&SYSTEM
  ibrav = 0, nat = 16, ntyp = 3
/
ATOMIC_SPECIES
Ga 69.72 Ga.upf
H 1.01 H.upf
Cl 35.45 Cl.upf
ATOMIC_POSITIONS angstrom
Ga 1.2118 1.5867 0.7719
Ga 1.0434 -1.5867 5.7849
Ga 4.9710 1.5867 4.2412
Ga 4.8026 -1.5867 9.2542
H 2.2762 0.6761 1.3570
H 2.1079 -0.6761 6.3700
H 3.9065 0.6761 3.6560
H 3.7382 -0.6761 8.6691
Cl 0.7672 1.3355 4.1636
Cl 1.3354 2.1921 8.5992
Cl 0.5989 -1.3355 9.1766
Cl 1.5038 -2.1921 3.5861
Cl 4.5106 2.1921 6.4399
Cl 5.4155 1.3355 0.8495
Cl 4.6790 -2.1921 1.4269
Cl 5.2471 -1.3355 5.8625
CELL_PARAMETERS angstrom
3.1756 -6.0060 0.0000
3.1756 6.0060 0.0000
-0.3368 0.0000 10.0261


Entry 2:
! InGa2Cl7 | the Materials Project | meta-GGA r2SCAN | optimized geometry; values from VASP
! crystal system: orthorhombic
&SYSTEM
  ibrav = 0, nat = 40, ntyp = 3
/
ATOMIC_SPECIES
In 114.82 In.upf
Ga 69.72 Ga.upf
Cl 35.45 Cl.upf
ATOMIC_POSITIONS angstrom
In 1.3068 1.2097 0.0000
In 4.7138 5.7227 5.3365
In 7.3274 3.3034 0.0000
In 10.7345 7.8164 5.3365
Ga 1.4001 5.5862 9.2496
Ga 2.1308 0.5946 6.6776
Ga 3.8898 5.1076 1.3411
Ga 4.6205 1.0731 3.9131
Ga 7.4208 7.9529 9.2496
Ga 8.1514 3.9184 6.6776
Ga 9.9104 8.4315 1.3411
Ga 10.6411 3.4399 3.9131
Cl 0.1463 7.2433 8.6612
Cl 0.2397 1.4625 7.2529
Cl 0.3789 4.1867 10.5519
Cl 1.9317 7.8411 5.4422
Cl 2.5201 4.6613 7.6664
Cl 2.5281 4.8995 2.9957
Cl 2.9543 6.6647 10.5946
Cl 3.0664 2.1517 5.2581
Cl 3.4926 0.3864 8.3322
Cl 3.5005 0.1483 2.3298
Cl 4.0889 3.3281 0.1057
Cl 5.6417 8.6997 5.2154
Cl 5.7809 5.9755 1.9163
Cl 5.8743 2.7302 3.3246
Cl 6.1669 6.2958 8.6612
Cl 6.2603 3.0505 7.2529
Cl 6.3995 0.3263 10.5519
Cl 7.9523 5.6980 5.4422
Cl 8.5408 8.8778 7.6664
Cl 8.5487 8.6396 2.9957
Cl 8.9749 6.8744 10.5946
Cl 9.0870 2.3614 5.2581
Cl 9.5132 4.1266 8.3322
Cl 9.5211 4.3648 2.3298
Cl 10.1095 1.1849 0.1057
Cl 11.6624 4.8393 5.2154
Cl 11.8016 7.5636 1.9163
Cl 11.8949 1.7828 3.3246
CELL_PARAMETERS angstrom
12.0412 0.0000 0.0000
0.0000 9.0261 0.0000
0.0000 0.0000 10.6731


Entry 3:
! KGaCl4 | the Materials Project | meta-GGA r2SCAN | optimized geometry; values from VASP
! crystal system: monoclinic
&SYSTEM
  ibrav = 0, nat = 24, ntyp = 3
/
ATOMIC_SPECIES
K 39.10 K.upf
Ga 69.72 Ga.upf
Cl 35.45 Cl.upf
ATOMIC_POSITIONS angstrom
K -1.2042 2.0606 1.9169
K -4.5666 3.0871 6.5987
K 5.1355 7.2084 2.7649
K 1.7732 8.2349 7.4466
Ga -1.4636 0.4944 6.4074
Ga 1.8988 4.6533 1.7257
Ga -1.3299 5.6422 7.6378
Ga 2.0325 9.8011 2.9561
Cl -3.0168 5.9749 6.2855
Cl 0.3456 9.4684 1.6037
Cl -1.7842 2.2398 5.1293
Cl 1.5782 2.9080 0.4476
Cl -3.3212 0.2643 7.5530
Cl 0.0412 4.8835 2.8713
Cl 2.3512 6.4566 0.5886
Cl -1.0112 8.9866 5.2704
Cl 1.5801 1.3089 4.0932
Cl -1.7823 3.8389 8.7749
Cl 0.5278 5.4120 6.4922
Cl 3.8901 10.0312 1.8105
Cl -1.0092 7.3876 8.9160
Cl 2.3531 8.0557 4.2342
Cl 0.2233 0.8271 7.7598
Cl 3.5857 4.3206 3.0780
CELL_PARAMETERS angstrom
7.2937 0.0000 0.0000
0.0000 10.2955 0.0000
-6.7248 0.0000 9.3635


Entry 4:
! KGa2Cl7 | the Materials Project | meta-GGA r2SCAN | optimized geometry; values from VASP
! crystal system: orthorhombic
&SYSTEM
  ibrav = 0, nat = 40, ntyp = 3
/
ATOMIC_SPECIES
K 39.10 K.upf
Ga 69.72 Ga.upf
Cl 35.45 Cl.upf
ATOMIC_POSITIONS angstrom
K 1.3307 1.2043 0.0000
K 4.6497 5.7582 5.2853
K 7.3111 3.3497 0.0000
K 10.6300 7.9037 5.2853
Ga 1.3602 5.6241 9.0370
Ga 2.0990 0.5833 6.4777
Ga 3.8813 5.1373 1.1924
Ga 4.6202 1.0702 3.7516
Ga 7.3405 8.0378 9.0370
Ga 8.0794 3.9707 6.4777
Ga 9.8617 8.5246 1.1924
Ga 10.6006 3.4838 3.7516
Cl 0.1127 7.2841 8.4374
Cl 0.1749 1.4166 6.9992
Cl 0.3622 4.2345 10.3463
Cl 1.9292 7.8989 5.2643
Cl 2.4766 4.6815 7.4544
Cl 2.5702 4.9643 2.8906
Cl 2.9390 6.7034 10.3587
Cl 3.0413 2.1494 5.0734
Cl 3.4102 0.4103 8.1759
Cl 3.5038 0.1275 2.1691
Cl 4.0512 3.3450 10.5497
Cl 5.6182 8.7884 5.0609
Cl 5.8055 5.9706 1.7138
Cl 5.8677 2.7301 3.1521
Cl 6.0930 6.3778 8.4374
Cl 6.1553 3.1373 6.9992
Cl 6.3426 0.3195 10.3463
Cl 7.9096 5.7630 5.2643